St. Joseph: Patron of the Congregation and the Movement spazio + spadoni
St. Joseph, a central figure in the life of the Church, is the Patron of the Sisters of our Lady Counsel Congregation and of spazio + spadoni
His life of service, obedience and dedication is the ideal model for those working in the mission of mercy and formation of new generations
St. Joseph and the Vocation to Mercy
St. Joseph was a righteous, silent and faithful man, able to respond promptly to God’s call. His life of total dedication to the Holy Family represents the essence of the Works of Mercy: caring for others with love, humility and sacrifice.
The Sisters of Our Lady of Good Counsel in Mbarara, Uganda, see St. Joseph as the perfect inspiration for their mission of evangelization and service to the least of these.
Following his example, they dedicate themselves to the education and integral formation of vulnerable youth, orphans and refugees, transmitting to them the values of justice, obedience and respect.
St. Joseph: Model of Education and Formation
In their daily work, the Sisters encourage young people to adopt the virtues of St. Joseph, recognizing him as a teacher of life and faith. His discipline, love for God and consistency in actions become a guide for those preparing to face the challenges of the world with dignity and responsibility.
Training and mentoring sessions organized by the Sisters aim to develop in young people a deep awareness of their role in society, inspired by the teachings of St. Joseph:
- Obedience and respect: just as St. Joseph obeyed God’s will, young people are encouraged to respect their parents, teachers, and authority figures.
- Work and responsibility: St. Joseph was a hard-working craftsman, and youth are trained to develop a strong work ethic and to perform their tasks with commitment.
- Perseverance in faith: St. Joseph faced difficulties and uncertainties with trust in God. The Sisters convey to young people the importance of prayer and trust in Providence.
St. Joseph and the Works of Mercy
The spazio + spadoni Movement is committed to spreading the Works of Mercy, following the example of St. Joseph as a spiritual and practical guide. The Sisters of Mbarara integrate these works into their daily service:
Visiting the sick: just as St. Joseph cared for the Holy Family, young people are encouraged to visit the sick, bringing comfort and prayer.
<<<
# C24H38BN12O2S3SbSe4Ti

A molecular structure, C24H38BN12O2S3SbSe4Ti at a distorted geometry (wB97M-V/def2-TZVPD, OMol25).

E_HOMO (spin up / spin down): -10.0 / -9.9 eV
Net charge: +1
2S+1: 2
ΔE to the lowest compared entry with this formula, charge and spin: 12.0 kJ/mol

Structure (XYZ):
```
86
Properties=species:S:1:pos:R:3:forces:R:3
Ti -0.852 -0.174 1.056 0.1 -0.8 1.3
C -3.872 -0.285 -1.892 0.0 -0.1 0.0
C -3.175 -0.909 -0.863 0.0 0.1 0.0
N -2.539 0.012 -0.130 0.3 0.2 -0.5
N -2.812 1.230 -0.670 -0.2 0.0 0.0
C -3.612 1.066 -1.731 0.0 0.0 0.0
B -2.283 2.557 -0.021 -0.2 0.1 -0.1
N -2.438 2.421 1.512 0.0 0.0 0.0
C -3.078 3.223 2.380 0.0 0.0 0.0
C -3.066 2.616 3.620 0.0 0.0 0.1
C -2.388 1.413 3.425 0.0 0.2 -0.1
N -2.004 1.313 2.155 0.1 -0.1 -0.3
N -0.779 2.635 -0.360 0.2 0.2 0.0
C -0.055 3.380 -1.208 0.0 0.0 0.0
C 1.231 2.860 -1.251 0.0 0.0 0.0
C 1.201 1.765 -0.391 -0.1 0.1 0.1
N -0.007 1.650 0.162 0.0 -0.1 -0.5
N -3.107 3.721 -0.530 0.0 -0.2 0.1
C -4.463 3.833 -0.433 0.1 -0.1 0.0
C -4.819 5.053 -0.938 0.0 0.1 -0.1
C -3.593 5.638 -1.328 0.0 0.0 0.0
N -2.571 4.839 -1.081 -0.2 0.0 0.1
H -4.496 -0.748 -2.638 0.0 0.0 0.1
H -3.064 -1.954 -0.618 0.0 0.0 0.0
H -3.965 1.919 -2.292 0.0 -0.1 0.1
H -3.504 4.161 2.057 0.0 -0.1 0.0
H -3.497 2.986 4.535 0.0 0.0 -0.1
H -2.161 0.624 4.119 0.0 0.0 0.0
H -0.505 4.233 -1.690 0.0 -0.1 0.0
H 2.075 3.251 -1.799 -0.1 0.0 0.1
H 1.969 1.046 -0.141 -0.1 0.1 0.0
H -5.066 3.042 -0.008 0.1 0.1 0.0
H -5.812 5.468 -1.015 0.1 0.0 0.0
H -3.420 6.605 -1.777 0.0 -0.1 0.0
N -1.052 -3.463 -1.019 0.0 0.1 -0.2
C -0.111 -2.812 -1.919 0.2 0.2 0.3
C 1.254 -3.506 -2.010 0.0 0.0 0.0
C 2.307 -2.842 -2.905 0.0 0.1 0.0
C 1.847 -2.539 -4.342 0.0 0.0 0.0
N 1.236 -1.208 -4.468 0.1 0.0 0.0
C 1.917 -0.094 -4.706 0.0 -0.2 -0.1
N 3.049 -0.114 -5.422 0.0 0.1 0.1
N 1.439 1.062 -4.244 0.0 -0.1 0.1
C 0.040 -1.361 -1.445 -0.3 0.0 -0.4
O -0.127 -0.432 -2.247 0.1 0.0 0.3
O 0.307 -1.212 -0.189 -0.7 0.5 -0.1
H -0.701 -3.492 -0.067 0.1 0.0 0.1
H -1.238 -4.415 -1.307 0.0 0.0 0.0
H -0.580 -2.770 -2.903 0.0 0.0 -0.1
H 1.068 -4.525 -2.360 0.0 0.0 -0.1
H 1.653 -3.600 -0.998 0.0 0.0 0.0
H 3.174 -3.505 -2.946 0.0 0.0 0.0
H 2.663 -1.908 -2.453 0.0 0.0 0.0
H 1.110 -3.269 -4.675 0.0 0.0 0.0
H 2.680 -2.614 -5.038 0.0 0.0 0.0
H 0.434 -1.033 -3.857 -0.1 -0.1 0.1
H 3.309 -0.934 -5.939 0.0 0.0 0.0
H 3.543 0.736 -5.622 0.0 0.0 0.0
H 0.794 1.030 -3.457 0.0 0.0 0.0
H 1.903 1.929 -4.447 0.0 0.0 0.0
C 3.642 1.225 2.417 -0.1 0.1 0.0
C 2.238 1.762 2.732 0.1 0.1 0.1
S 0.881 0.607 3.047 0.0 -0.2 0.0
C 1.642 -0.554 4.231 0.0 -0.3 -0.1
C 1.427 -2.047 3.948 0.1 0.1 0.0
S 1.725 -2.634 2.273 0.1 0.0 0.1
C 3.519 -2.796 2.225 0.1 0.1 0.0
C 4.353 -1.511 2.319 -0.1 -0.2 0.0
S 3.797 -0.149 1.246 0.0 0.0 0.0
H 4.164 0.946 3.329 0.0 -0.1 0.0
H 4.211 2.059 2.006 0.0 0.1 0.0
H 1.872 2.405 1.935 0.0 0.0 -0.1
H 2.317 2.398 3.616 0.0 0.0 0.0
H 1.238 -0.331 5.219 -0.1 0.1 0.0
H 2.698 -0.305 4.260 0.0 0.0 0.0
H 0.393 -2.311 4.157 0.0 0.0 0.0
H 2.021 -2.630 4.657 0.1 0.0 0.0
>>>
Care for the poor: St. Joseph’s teaching inspires them to share with those in need, helping the less fortunate with generosity.
Forgiveness and reconciliation: the value of forgiveness, so dear to St. Joseph, is promoted in communities to foster peace and social harmony.
Feeding the Hungry: following the example of St. Joseph, young people are educated to care for those suffering from lack of food, promoting a culture of solidarity.
St. Joseph and the Spirituality of Mission
St. Joseph is also a model of consecrated life. His chastity and total dedication to God inspire the Sisters in their vocation to the evangelical counsels of poverty, obedience and chastity. His intercession is constantly invoked so that missionary works may bear spiritual and material fruits in the communities served.
St. Joseph, Patron of the Congregation and the spazio + spadoni Movement, is a beacon of light for those committed to mercy and mission. His life of faith, work and sacrifice continues to inspire generations of believers who work to spread the Works of Mercy around the world.
Following his example, the Movement and congregations devoted to him pursue a path of hope, formation and service so that every community can grow in justice and charity.
Saint Joseph, pray for us!